The AIChEvents App is Now Available | AIChE

The AIChEvents App is Now Available

Between two parts of the page: data records:
********
Run w
An optimized crystal structure of Li6V3P8O29. Source: the Materials Project, functional GGA+U.

Properties
Symmetry: P1 (1)
Density (g/cm3): 2.59

Cell lengths 9.7736, 9.7977, 13.9746 Å; angles 90.32, 89.95, 119.74 degrees
Positions (direct):
Li (0.0920, 0.3304, 0.0648)
Li (0.2399, 0.3394, 0.5620)
Li (0.0979, 0.7653, 0.5588)
Li (0.3362, 0.6616, 0.8858)
Li (0.2338, 0.9096, 0.0610)
Li (0.6728, 0.7672, 0.0607)
Li (0.3355, 0.1020, 0.4402)
Li (0.6636, 0.9055, 0.5618)
Li (0.7645, 0.6654, 0.4390)
Li (0.9003, 0.6652, 0.9401)
Li (0.0108, 0.0465, 0.9957)
Li (0.9850, 0.0362, 0.4942)
V (0.4364, 0.9999, 0.2496)
V (0.5662, 0.0045, 0.7540)
V (0.4371, 0.4334, 0.7515)
V (0.5639, 0.5628, 0.2470)
V (0.9968, 0.4302, 0.2525)
V (0.9996, 0.5609, 0.7453)
P (0.0916, 0.3154, 0.8467)
P (0.2286, 0.3149, 0.3435)
P (0.0877, 0.7739, 0.3416)
P (0.3301, 0.6649, 0.1275)
P (0.3387, 0.6699, 0.6296)
P (0.2208, 0.9062, 0.8423)
P (0.3095, 0.0837, 0.6579)
P (0.6861, 0.7762, 0.8421)
P (0.3060, 0.2207, 0.1583)
P (0.6875, 0.9125, 0.3447)
P (0.7784, 0.0825, 0.1594)
P (0.6666, 0.3348, 0.3682)
P (0.6685, 0.3375, 0.8709)
P (0.9173, 0.2187, 0.6610)
P (0.7722, 0.6859, 0.6564)
P (0.9140, 0.6845, 0.1575)
O (0.0131, 0.2092, 0.5800)
O (0.0885, 0.3440, 0.3373)
O (0.1981, 0.2047, 0.0777)
O (0.2585, 0.3410, 0.8378)
O (0.1029, 0.4780, 0.8311)
O (0.1869, 0.5104, 0.1655)
O (0.0931, 0.6220, 0.3286)
O (0.9994, 0.7713, 0.0680)
O (0.0758, 0.7369, 0.8362)
O (0.3291, 0.5163, 0.6714)
O (0.3845, 0.4692, 0.3300)
O (0.1909, 0.6784, 0.6677)
O (0.3293, 0.6667, 0.0192)
O (0.3432, 0.6707, 0.5226)
O (0.3198, 0.8090, 0.1680)
O (0.5213, 0.6264, 0.8304)
O (0.4866, 0.6761, 0.1650)
O (0.2550, 0.9201, 0.3410)
O (0.2035, 0.9968, 0.7514)
O (0.2200, 0.9964, 0.5685)
O (0.2132, 0.9832, 0.9333)
O (0.3710, 0.8910, 0.8304)
O (0.4902, 0.8151, 0.6730)
O (0.3402, 0.0818, 0.1589)
O (0.5310, 0.9134, 0.3305)
O (0.6597, 0.7421, 0.3365)
O (0.2100, 0.1981, 0.2573)
O (0.2229, 0.2290, 0.4350)
O (0.7755, 0.7778, 0.5687)
O (0.3324, 0.2505, 0.6587)
O (0.4653, 0.0835, 0.6692)
O (0.6634, 0.9189, 0.8413)
O (0.5100, 0.1891, 0.3291)
O (0.6198, 0.0781, 0.1682)
O (0.7945, 0.9908, 0.0778)
O (0.7707, 0.9837, 0.4375)
O (0.8016, 0.0088, 0.2584)
O (0.7462, 0.0844, 0.6580)
O (0.5227, 0.3386, 0.8229)
O (0.4597, 0.3784, 0.1662)
O (0.6625, 0.1866, 0.8252)
O (0.6664, 0.3414, 0.9768)
O (0.6645, 0.3416, 0.4750)
O (0.8068, 0.3232, 0.3235)
O (0.6184, 0.5307, 0.6667)
O (0.6769, 0.4893, 0.3256)
O (0.9176, 0.2532, 0.1598)
O (0.9886, 0.1999, 0.7605)
O (0.0144, 0.2352, 0.9383)
O (0.9245, 0.3810, 0.6684)
O (0.8165, 0.4843, 0.8285)
O (0.9142, 0.5299, 0.1709)
O (0.7439, 0.6584, 0.1574)
O (0.7717, 0.7694, 0.9307)
O (0.7941, 0.7916, 0.7505)
O (0.9179, 0.6626, 0.6561)
O (0.9997, 0.7762, 0.4305)
O (0.9996, 0.7958, 0.2493)

***

Run x
An optimized crystal structure of Li6V3P8O29. Source: the Materials Project, functional GGA+U.

Properties
Symmetry: P1 (1)
Density (g/cm3): 2.56

Cell lengths 9.8104, 9.8280, 14.0282 Å; angles 89.15, 89.00, 60.22 degrees
Positions (direct):
********
The data records stop here:

Put away your pen and paper. Everything you need to manage your time at the Meeting is available on your phone or mobile device with the AIChEvents app.

Navigate the event like a pro with the AIChE Annual Meeting mobile app.

1.
PbSO4 | PBE-GGA | relaxed

Computed properties:
- Space-group type: No. 62
- Energy above the lowest structure with this stoichiometry: 0.00 kcal/mol of atoms

Cell and atoms, written as extended XYZ:
```
24
Lattice="8.561 0.000 0.000 0.000 5.522 0.000 0.000 0.000 7.099" Properties=species:S:1:pos:R:3 pbc="T T T"
Pb 1.681 1.380 1.223
Pb 2.600 4.141 4.772
Pb 5.961 1.380 2.327
Pb 6.880 4.141 5.877
S 0.543 1.380 4.830
S 3.737 4.141 1.280
S 4.824 1.380 5.819
S 8.018 4.141 2.270
O 0.695 0.158 5.699
O 0.695 2.603 5.699
O 0.797 4.141 2.881
O 1.645 1.380 3.821
O 2.635 4.141 0.271
O 3.484 1.380 6.430
O 3.585 2.918 2.150
O 3.585 5.364 2.150
O 4.976 0.158 4.950
O 4.976 2.603 4.950
O 5.077 4.141 0.669
O 5.925 1.380 6.828
O 6.916 4.141 3.278
O 7.764 1.380 4.219
O 7.865 2.918 1.400
O 7.865 5.364 1.400
```

---

2.
Pb3Au | PBE-GGA | relaxed

Computed properties:
- Space-group type: No. 121
- Raw total energy: -58.65 eV for the cell shown

Cell and atoms, written as extended XYZ:
```
16
Lattice="-6.110 6.110 3.040 6.110 -6.110 3.040 6.110 6.110 -3.040" Properties=species:S:1:pos:R:3 pbc="T T T"
Pb 4.388 0.000 0.000
Pb 7.832 0.000 0.000
Pb 3.661 3.661 -1.440
Pb 1.172 -1.172 1.484
Pb -1.172 1.172 1.484
Pb 0.000 4.388 0.000
Pb 2.450 2.450 1.600
Pb 2.450 -2.450 4.480
Pb 0.000 7.832 0.000
Pb 4.938 4.938 1.556
Pb 1.172 1.172 4.596
Pb -2.450 2.450 4.480
Au 6.110 2.517 0.000
Au 2.517 6.110 0.000
Au 3.593 0.000 3.040
Au 0.000 3.593 3.040
```

---

3.
Mg3BeAl8O16 | PBE-GGA | relaxed

Computed properties:
- Space-group type: No. 186
- Energy above the lowest structure with this stoichiometry: 0.50 kcal/mol of atoms

Cell and atoms, written as extended XYZ:
```
56
Lattice="5.724 0.000 0.000 -2.862 4.957 0.000 0.000 0.000 18.567" Properties=species:S:1:pos:R:3 pbc="T T T"
Mg 0.000 0.000 0.000
Mg 0.000 0.000 9.283
Mg 0.000 3.305 1.172
Mg 0.000 3.305 4.656
Mg 2.862 1.652 10.456
Mg 2.862 1.652 13.939
Be 0.000 3.305 14.851
Be 2.862 1.652 5.568
Al 0.000 0.000 5.383
Al 0.000 0.000 14.667
Al -1.415 2.488 7.526
Al 0.000 1.635 12.254
Al -1.446 4.139 12.254
Al 1.416 0.818 2.970
Al 0.000 3.305 9.904
Al 1.415 2.488 7.526
Al 0.000 4.938 7.526
Al 2.862 0.019 16.810
Al 1.447 2.469 16.810
Al 2.862 1.652 0.620
Al 1.446 4.139 12.254
Al 4.308 0.818 2.970
Al 2.862 3.322 2.970
Al 4.277 2.469 16.810
O 0.000 0.000 1.956
O 0.000 0.000 11.239
O -1.278 2.567 11.148
O 0.000 1.463 4.069
O -1.595 4.225 4.069
O 0.000 1.774 15.659
O -1.326 4.070 15.659
O 0.000 1.833 8.659
O -1.274 4.040 8.659
O 1.267 0.732 13.352
O 0.000 3.305 6.580
O 0.000 3.305 13.275
O 0.000 3.305 17.754
O 1.536 0.887 6.376
O 1.588 0.917 17.943
O 1.278 2.567 11.148
O 0.000 4.780 11.148
O 2.862 0.177 1.864
O 1.584 2.390 1.864
O 1.274 4.040 8.659
O 1.326 4.070 15.659
O 2.862 1.652 3.991
O 2.862 1.652 8.470
O 2.862 1.652 15.863
O 1.595 4.225 4.069
O 4.136 0.917 17.943
O 2.862 3.124 17.943
O 4.188 0.887 6.376
O 2.862 3.183 6.376
O 4.457 0.732 13.352
O 2.862 3.494 13.352
O 4.140 2.390 1.864
```

---

4.
ZrCu5 | PBE-GGA | relaxed

Download the app today on your mobile device.

A | The following is a DFT calculation (PBE+U) of a geometry-optimized Li2Fe3SbO8 structure.

Results
Space group: P4_332
Total moment (μB/cell): 60.002

abc: 8.607 8.607 8.607
angles: 90.00 90.00 90.00
Element x y z (fractional)
Li 0.002 0.002 0.002
Li 0.248 0.248 0.248
Li 0.252 0.752 0.748
Li 0.498 0.998 0.502
Li 0.502 0.498 0.998
Li 0.748 0.252 0.752
Li 0.752 0.748 0.252
Li 0.998 0.502 0.498
Fe 0.116 0.134 0.625
Fe 0.125 0.384 0.866
Fe 0.134 0.625 0.116
Fe 0.366 0.375 0.616
Fe 0.375 0.616 0.366
Fe 0.384 0.866 0.125
Fe 0.616 0.366 0.375
Fe 0.625 0.116 0.134
Fe 0.634 0.875 0.884
Fe 0.866 0.125 0.384
Fe 0.875 0.884 0.634
Fe 0.884 0.634 0.875
Sb 0.125 0.875 0.375
Sb 0.375 0.125 0.875
Sb 0.625 0.625 0.625
Sb 0.875 0.375 0.125
O 0.114 0.110 0.386
O 0.114 0.886 0.610
O 0.116 0.616 0.884
O 0.140 0.136 0.864
O 0.110 0.386 0.114
O 0.134 0.366 0.634
O 0.136 0.640 0.364
O 0.136 0.864 0.140
O 0.364 0.136 0.640
O 0.364 0.360 0.864
O 0.366 0.634 0.134
O 0.390 0.614 0.614
O 0.360 0.864 0.364
O 0.384 0.384 0.384
O 0.386 0.114 0.110
O 0.386 0.890 0.886
O 0.614 0.390 0.614
O 0.614 0.614 0.390
O 0.616 0.884 0.116
O 0.640 0.364 0.136
O 0.610 0.114 0.886
O 0.634 0.134 0.366
O 0.636 0.860 0.636
O 0.636 0.636 0.860
O 0.864 0.364 0.360
O 0.864 0.140 0.136
O 0.866 0.866 0.866
O 0.890 0.886 0.386
O 0.860 0.636 0.636
O 0.884 0.116 0.616
O 0.886 0.386 0.890
O 0.886 0.610 0.114

***

B | The following is a DFT calculation (PBE+U) of a geometry-optimized Li2Fe3SbO8 structure.

Results
Total moment (μB/cell): 0.000

abc: 6.050 10.659 6.038
angles: 73.54 119.93 89.94
Element x y z (fractional)
Li 0.934 0.198 0.868
Li 0.434 0.698 0.868
Li 0.566 0.302 0.132
Li 0.066 0.802 0.132
Fe 0.500 0.000 0.000
Fe 0.500 0.000 0.500
Fe 0.500 0.500 0.500
Fe 0.000 0.500 0.000
Fe 0.000 0.500 0.500
Fe 0.000 0.000 0.500
Sb 0.750 0.750 0.500
Sb 0.250 0.250 0.500
O 0.865 0.400 0.733
O 0.365 0.900 0.733
O 0.635 0.100 0.267
O 0.135 0.600 0.267
O 0.094 0.624 0.735
O 0.594 0.124 0.735
O 0.641 0.625 0.735
O 0.141 0.125 0.735
O 0.641 0.625 0.281
O 0.141 0.125 0.281
O 0.859 0.875 0.719
O 0.359 0.375 0.719
O 0.859 0.875 0.265
O 0.359 0.375 0.265
O 0.406 0.876 0.265
O 0.906 0.376 0.265

***

The structure with the least stability is B.

***

A | The following is a DFT calculation (PBE+U) of a geometry-optimized Li4Ti3Fe3Sb2O16 structure.

Results
Space group: P1
Total moment (μB/cell): 12.000

abc: 6.006 5.972 9.903
angles: 89.96 90.56 119.76
Element x y z (fractional)
Li 0.326 0.663 0.900
Li 0.992 0.995 0.987
Li 0.004 0.001 0.492
Li 0.665 0.333 0.405
Ti 0.180 0.835 0.214
Ti 0.174 0.339 0.218
Ti 0.343 0.172 0.720
Fe 0.654 0.833 0.211
Fe 0.836 0.656 0.710
Fe 0.836 0.180 0.710
Sb 0.343 0.671 0.491
Sb 0.679 0.341 0.986
O 0.173 0.838 0.598
O 0.040 0.520 0.337
O 0.303 0.648 0.105
O 0.013 0.007 0.305
O 0.014 0.007 0.801
O 0.173 0.334 0.597
O 0.470 0.963 0.344
O 0.472 0.510 0.341
O 0.331 0.165 0.102
O 0.681 0.840 0.590
O 0.508 0.474 0.847
O 0.508 0.036 0.847
O 0.640 0.320 0.606
O 0.841 0.675 0.098

SCAN: Use your devices QR code scanner to quickly find the 2019 AIChE Annual Meeting app.
SEARCH: The App Store or Google Play for “AIChE Events”
Mobile Event App for AIChE Events Mobile Event App for AIChE Events
FOR ALL OTHER DEVICE TYPES: (including BlackBerry, Windows, and other web browser-enabled devices): point your mobile browser to to be directed to the proper download version for your device.
Once you have downloaded and opened the app, choose AIChE 2019 and tap Download. If you have a previous meeting app on your device, tap “Exit to show list” from the Dashboard.
Should you have any questions, please contact

Build your Meeting Schedule!

Don't miss out on the scheduler tool, which can be synced directly to your app!

With the AIChE mobile app, you can:

  • Stay organized with up-to-the-minute Exhibitor, Speaker, and Event information.
  • Sync the app across all your devices with Multi-Device Sync.
  • Receive important real-time communications from AIChE.
  • Build a personalized schedule and bookmark exhibitors.
  • Take notes and download event handouts and presentations.
  • Rate the sessions you attend and comment on them, too.
  • Interactively locate sessions and exhibitors on the Hyatt Regency maps.
  • Find attendees and connect with your colleagues.
  • Stay in-the-know and join the conversation using the Social Media icon.
  • And much, much more!

Take Full Advantage of these Features of the AIChEvents App:

  • "Locate Me": Use the "Locate Me" function to map out your route from session to session. Simply enter the session room you are in and the session room you are going to and the app will show you the way!
  • Exhibitor pdfs: AIChE is pleased to continue to bring the 2019 AIChE Annual Meeting  attendees, sponsors and exhibitors the feature for the mobile application, designed to enhance the conference experience and to provide valuable information for all app users. Companies can upload (.pdfs only) materials to brand their company's mobile app details page.
  • Favorites: Find all your bookmarks and favorites in one place on the dashboard.
  • Filters: Filter sessions by division, forum, area, and/or committee. Control your meeting experience and see only exactly what you want to see.

  • Explore: The explore page is your home for finding important Meeting information, upcoming events, and links to all things #AIChEAnnual. Just click on the binocular image located on the home screen to get started. The explore page will be updated regularly, so be sure to check the explore screen throughout the week for the latest Annual Meeting news. Let us know how we’re doing. Fill out a quick and easy survey for the Annual Meeting or Annual Student Conference